Request.
Please write out the rows further down with every line break kept.

Contents.
********
[1]
A molecular structure, C40H23BrF15GeN5PtS at a distorted geometry, computed with ωB97M-V with the def2-TZVPD basis set.

Results
multiplicity	1
HOMO energy (alpha / beta)	-7.043 / -7.041	eV
max |F|	3.8	eV/Å
electronic energy	-230703.7302	eV
net charge	0

Geometry (Å):
Pt 0.15 0.02 -2.27
Br 6.27 -4.38 -2.01
C 4.99 -2.97 -2.07
C 5.27 -1.82 -2.77
C 4.37 -0.78 -2.79
C 3.15 -0.89 -2.10
C 2.87 -2.09 -1.41
C 3.78 -3.12 -1.40
N 2.23 0.13 -2.08
C 2.63 1.40 -2.04
C 1.67 2.42 -2.10
C 1.99 3.80 -2.11
C 0.99 4.73 -2.18
C -0.34 4.29 -2.19
C -0.61 2.94 -2.16
N 0.35 2.01 -2.14
H 6.21 -1.73 -3.30
H 4.59 0.12 -3.34
H 1.95 -2.16 -0.85
H 3.58 -4.02 -0.83
H 3.67 1.65 -1.92
H 3.03 4.09 -2.08
H 1.22 5.79 -2.21
H -1.16 4.99 -2.22
H -1.62 2.56 -2.16
C -4.99 -1.30 -2.56
C -4.47 0.13 -2.40
C -4.82 0.67 -1.01
C -5.07 1.03 -3.49
C -3.01 0.11 -2.51
C -1.80 0.08 -2.56
H -6.07 -1.33 -2.47
H -4.56 -1.94 -1.79
H -4.71 -1.70 -3.53
H -5.90 0.66 -0.86
H -4.46 1.70 -0.90
H -4.35 0.07 -0.24
H -6.16 1.03 -3.40
H -4.80 0.66 -4.48
H -4.71 2.05 -3.38
N -1.47 -4.84 -0.96
C -0.79 -4.10 -1.85
C -0.74 -2.70 -1.72
N -0.02 -1.96 -2.56
C 0.60 -2.59 -3.57
C 0.49 -3.96 -3.71
N -0.17 -4.72 -2.86
H -1.89 -4.43 -0.15
H -1.45 -5.84 -1.05
H -1.27 -2.20 -0.93
H 1.18 -2.00 -4.27
H 0.96 -4.48 -4.53
F 3.00 -0.95 2.00
C 3.26 0.31 2.38
C 2.19 1.17 2.54
C 2.47 2.48 2.89
F 1.45 3.34 2.98
C 3.76 2.91 3.13
F 4.00 4.18 3.48
C 4.82 2.02 2.99
F 6.07 2.42 3.22
C 4.57 0.71 2.60
F 5.59 -0.14 2.44
Ge 0.35 0.47 2.20
S 0.12 -0.61 0.36
C -0.08 -1.01 3.49
C -1.33 -1.57 3.36
F -2.21 -0.96 2.53
C -1.71 -2.72 4.03
F -2.93 -3.25 3.86
C -0.80 -3.32 4.89
F -1.14 -4.43 5.55
C 0.46 -2.77 5.06
F 1.33 -3.34 5.89
C 0.80 -1.62 4.36
F 2.01 -1.07 4.54
C -0.96 1.88 2.74
C -1.14 2.15 4.08
F -0.36 1.50 4.96
C -2.07 3.07 4.53
F -2.23 3.31 5.83
C -2.87 3.73 3.60
F -3.78 4.61 4.00
C -2.70 3.47 2.24
F -3.46 4.11 1.34
C -1.75 2.55 1.84
F -1.58 2.30 0.53



[2]
A molecular structure, C33H46MnNP3 at a distorted geometry, computed with ωB97M-V with the def2-TZVPD basis set.

Results
multiplicity	6
HOMO energy (alpha / beta)	-2.477 / -7.831	eV
max |F|	3.5	eV/Å
electronic energy	-95637.5296	eV
net charge	0

Geometry (Å):
P 0.11 -1.88 -5.69
P -0.01 1.22 -5.59
C -0.26 -0.99 -7.30
C 0.25 0.44 -7.27
H -1.35 -1.03 -7.45
H 0.20 -1.55 -8.12
H 1.32 0.49 -7.50
H -0.28 1.05 -8.02
C -1.60 2.07 -5.99
H -1.82 2.79 -5.20
H -2.40 1.33 -6.05
H -1.51 2.60 -6.95
C 1.10 2.67 -5.87
H 0.86 3.17 -6.82
H 2.14 2.31 -5.89
H 0.97 3.37 -5.04
C -1.01 -3.31 -5.99
H -0.81 -4.07 -5.22
H -0.84 -3.75 -6.98
H -2.05 -2.97 -5.90
C 1.67 -2.69 -6.27
H 2.47 -1.93 -6.34
H 1.52 -3.15 -7.25
H 1.96 -3.45 -5.54
Mn 0.00 -0.61 0.81
C 0.64 1.02 -0.57
C -0.75 0.95 -0.62
C -1.54 0.28 -1.73
C -1.92 -1.20 -1.44
C -0.89 -1.96 -0.63
C 0.51 -1.88 -0.83
C 1.17 -1.09 -1.94
C 1.58 0.36 -1.55
C 0.08 -2.18 2.02
H 1.10 1.79 0.06
H -1.34 1.64 0.00
H -1.01 0.36 -2.69
H -2.48 0.84 -1.86
H -2.88 -1.20 -0.89
H -2.12 -1.71 -2.39
H -1.28 -2.81 -0.07
H 1.15 -2.64 -0.37
H 0.55 -1.08 -2.85
H 2.10 -1.63 -2.22
H 2.59 0.32 -1.11
H 1.69 0.97 -2.47
H 0.86 -1.99 2.78
H 0.29 -3.09 1.45
H -0.90 -2.23 2.50
N 0.00 0.54 2.16
P 0.07 0.74 3.78
C -1.40 -0.14 4.39
C -1.50 -0.64 5.70
C -2.66 -1.31 6.10
C -3.72 -1.49 5.21
C -3.64 -0.96 3.92
C -2.50 -0.26 3.53
C 1.67 0.04 4.26
C 1.98 -0.35 5.57
C 3.23 -0.90 5.87
C 4.19 -1.05 4.87
C 3.91 -0.62 3.57
C 2.68 -0.04 3.28
C -0.02 2.35 4.60
C 1.04 2.85 5.40
C 0.87 4.00 6.17
C -0.33 4.70 6.14
C -1.38 4.22 5.36
C -1.23 3.06 4.60
H -0.68 -0.50 6.40
H -2.73 -1.70 7.11
H -4.61 -2.04 5.52
H -4.46 -1.09 3.21
H -2.45 0.18 2.52
H 1.24 -0.23 6.37
H 3.45 -1.22 6.89
H 5.17 -1.49 5.10
H 4.65 -0.73 2.77
H 2.48 0.33 2.27
H 1.99 2.32 5.42
H 1.70 4.36 6.78
H -0.45 5.61 6.73
H -2.33 4.77 5.33
H -2.07 2.70 3.99



[3]
A molecular structure, C30H24F6NO6S3Sr at a distorted geometry, computed with ωB97M-V with the def2-TZVPD basis set.

Results
multiplicity	1
HOMO energy	-5.401	eV
max |F|	1.9	eV/Å
electronic energy	-94920.4330	eV
net charge	-1

Geometry (Å):
Sr -1.29 -1.84 -1.54
********

Outcome.
[1]
A molecular structure, C40H23BrF15GeN5PtS at a distorted geometry, computed with ωB97M-V with the def2-TZVPD basis set.

Results
multiplicity	1
HOMO energy (alpha / beta)	-7.043 / -7.041	eV
max |F|	3.8	eV/Å
electronic energy	-230703.7302	eV
net charge	0

Geometry (Å):
Pt 0.15 0.02 -2.27
Br 6.27 -4.38 -2.01
C 4.99 -2.97 -2.07
C 5.27 -1.82 -2.77
C 4.37 -0.78 -2.79
C 3.15 -0.89 -2.10
C 2.87 -2.09 -1.41
C 3.78 -3.12 -1.40
N 2.23 0.13 -2.08
C 2.63 1.40 -2.04
C 1.67 2.42 -2.10
C 1.99 3.80 -2.11
C 0.99 4.73 -2.18
C -0.34 4.29 -2.19
C -0.61 2.94 -2.16
N 0.35 2.01 -2.14
H 6.21 -1.73 -3.30
H 4.59 0.12 -3.34
H 1.95 -2.16 -0.85
H 3.58 -4.02 -0.83
H 3.67 1.65 -1.92
H 3.03 4.09 -2.08
H 1.22 5.79 -2.21
H -1.16 4.99 -2.22
H -1.62 2.56 -2.16
C -4.99 -1.30 -2.56
C -4.47 0.13 -2.40
C -4.82 0.67 -1.01
C -5.07 1.03 -3.49
C -3.01 0.11 -2.51
C -1.80 0.08 -2.56
H -6.07 -1.33 -2.47
H -4.56 -1.94 -1.79
H -4.71 -1.70 -3.53
H -5.90 0.66 -0.86
H -4.46 1.70 -0.90
H -4.35 0.07 -0.24
H -6.16 1.03 -3.40
H -4.80 0.66 -4.48
H -4.71 2.05 -3.38
N -1.47 -4.84 -0.96
C -0.79 -4.10 -1.85
C -0.74 -2.70 -1.72
N -0.02 -1.96 -2.56
C 0.60 -2.59 -3.57
C 0.49 -3.96 -3.71
N -0.17 -4.72 -2.86
H -1.89 -4.43 -0.15
H -1.45 -5.84 -1.05
H -1.27 -2.20 -0.93
H 1.18 -2.00 -4.27
H 0.96 -4.48 -4.53
F 3.00 -0.95 2.00
C 3.26 0.31 2.38
C 2.19 1.17 2.54
C 2.47 2.48 2.89
F 1.45 3.34 2.98
C 3.76 2.91 3.13
F 4.00 4.18 3.48
C 4.82 2.02 2.99
F 6.07 2.42 3.22
C 4.57 0.71 2.60
F 5.59 -0.14 2.44
Ge 0.35 0.47 2.20
S 0.12 -0.61 0.36
C -0.08 -1.01 3.49
C -1.33 -1.57 3.36
F -2.21 -0.96 2.53
C -1.71 -2.72 4.03
F -2.93 -3.25 3.86
C -0.80 -3.32 4.89
F -1.14 -4.43 5.55
C 0.46 -2.77 5.06
F 1.33 -3.34 5.89
C 0.80 -1.62 4.36
F 2.01 -1.07 4.54
C -0.96 1.88 2.74
C -1.14 2.15 4.08
F -0.36 1.50 4.96
C -2.07 3.07 4.53
F -2.23 3.31 5.83
C -2.87 3.73 3.60
F -3.78 4.61 4.00
C -2.70 3.47 2.24
F -3.46 4.11 1.34
C -1.75 2.55 1.84
F -1.58 2.30 0.53



[2]
A molecular structure, C33H46MnNP3 at a distorted geometry, computed with ωB97M-V with the def2-TZVPD basis set.

Results
multiplicity	6
HOMO energy (alpha / beta)	-2.477 / -7.831	eV
max |F|	3.5	eV/Å
electronic energy	-95637.5296	eV
net charge	0

Geometry (Å):
P 0.11 -1.88 -5.69
P -0.01 1.22 -5.59
C -0.26 -0.99 -7.30
C 0.25 0.44 -7.27
H -1.35 -1.03 -7.45
H 0.20 -1.55 -8.12
H 1.32 0.49 -7.50
H -0.28 1.05 -8.02
C -1.60 2.07 -5.99
H -1.82 2.79 -5.20
H -2.40 1.33 -6.05
H -1.51 2.60 -6.95
C 1.10 2.67 -5.87
H 0.86 3.17 -6.82
H 2.14 2.31 -5.89
H 0.97 3.37 -5.04
C -1.01 -3.31 -5.99
H -0.81 -4.07 -5.22
H -0.84 -3.75 -6.98
H -2.05 -2.97 -5.90
C 1.67 -2.69 -6.27
H 2.47 -1.93 -6.34
H 1.52 -3.15 -7.25
H 1.96 -3.45 -5.54
Mn 0.00 -0.61 0.81
C 0.64 1.02 -0.57
C -0.75 0.95 -0.62
C -1.54 0.28 -1.73
C -1.92 -1.20 -1.44
C -0.89 -1.96 -0.63
C 0.51 -1.88 -0.83
C 1.17 -1.09 -1.94
C 1.58 0.36 -1.55
C 0.08 -2.18 2.02
H 1.10 1.79 0.06
H -1.34 1.64 0.00
H -1.01 0.36 -2.69
H -2.48 0.84 -1.86
H -2.88 -1.20 -0.89
H -2.12 -1.71 -2.39
H -1.28 -2.81 -0.07
H 1.15 -2.64 -0.37
H 0.55 -1.08 -2.85
H 2.10 -1.63 -2.22
H 2.59 0.32 -1.11
H 1.69 0.97 -2.47
H 0.86 -1.99 2.78
H 0.29 -3.09 1.45
H -0.90 -2.23 2.50
N 0.00 0.54 2.16
P 0.07 0.74 3.78
C -1.40 -0.14 4.39
C -1.50 -0.64 5.70
C -2.66 -1.31 6.10
C -3.72 -1.49 5.21
C -3.64 -0.96 3.92
C -2.50 -0.26 3.53
C 1.67 0.04 4.26
C 1.98 -0.35 5.57
C 3.23 -0.90 5.87
C 4.19 -1.05 4.87
C 3.91 -0.62 3.57
C 2.68 -0.04 3.28
C -0.02 2.35 4.60
C 1.04 2.85 5.40
C 0.87 4.00 6.17
C -0.33 4.70 6.14
C -1.38 4.22 5.36
C -1.23 3.06 4.60
H -0.68 -0.50 6.40
H -2.73 -1.70 7.11
H -4.61 -2.04 5.52
H -4.46 -1.09 3.21
H -2.45 0.18 2.52
H 1.24 -0.23 6.37
H 3.45 -1.22 6.89
H 5.17 -1.49 5.10
H 4.65 -0.73 2.77
H 2.48 0.33 2.27
H 1.99 2.32 5.42
H 1.70 4.36 6.78
H -0.45 5.61 6.73
H -2.33 4.77 5.33
H -2.07 2.70 3.99



[3]
A molecular structure, C30H24F6NO6S3Sr at a distorted geometry, computed with ωB97M-V with the def2-TZVPD basis set.

Results
multiplicity	1
HOMO energy	-5.401	eV
max |F|	1.9	eV/Å
electronic energy	-94920.4330	eV
net charge	-1

Geometry (Å):
Sr -1.29 -1.84 -1.54